Entries
<<<
Theoretical X-ray diffraction stick pattern of Rb2PuZnF6 for Cu Kα, from a crystal structure in Alexandria, relaxed with PBE.

Peak list (10 most intense, 2θ = 10–80°, by angle)
2θ/deg	I/Imax	(hkl)
16.89	25.6	1 1 0
19.53	17.7	1 0 1
27.76	100.0	2 0 0
32.67	18.3	0 3 1
39.66	35.5	2 0 2
43.39	9.6	2 3 1
49.10	42.6	3 2 1
57.34	22.8	4 0 0
64.88	19.1	4 0 2
78.79	22.3	5 2 1

Atomic structure:
```
Rb2PuZnF6
1.0
6.428 0.000 0.000
0.000 9.087 0.000
0.000 0.000 6.428
Rb Pu Zn F
4 2 2 12
Cartesian
1.607 0.002 1.604
1.607 4.542 1.604
4.821 9.085 4.825
4.821 4.545 4.825
1.607 2.272 4.819
4.821 6.815 1.609
1.607 6.815 4.822
4.821 2.272 1.607
0.060 6.815 3.273
0.059 6.815 6.371
1.607 4.627 4.823
1.607 9.003 4.823
3.154 6.815 3.273
3.156 6.815 6.371
3.273 2.272 0.057
3.274 2.272 3.156
4.821 0.084 1.605
4.821 4.460 1.605
6.370 2.272 0.057
6.369 2.272 3.156
```


No. 1
The following is a simulated powder XRD pattern of Rb2Fe2As2N. It was derived from the PBE geometry in Alexandria, using a wavelength of 1.5418 Å.
Intensities are scaled so that the largest is 100.

Largest 6 diffraction maxima, by intensity, 5 to 70 degrees two-theta:
- 29.6 deg, 3.022 Å, I 100
- 32.5 deg, 2.755 Å, I 38
- 33.0 deg, 2.716 Å, I 37
- 45.9 deg, 1.979 Å, I 33
- 36.3 deg, 2.478 Å, I 33
- 35.0 deg, 2.565 Å, I 30

abc: 5.877 5.877 8.265
angles: 118.58 118.58 39.37
Sites, in units of the cell vectors:
Rb: 0.066 0.066 0.339
Rb: 0.934 0.934 0.661
Fe: 0.331 0.331 0.954
Fe: 0.669 0.669 0.046
As: 0.285 0.285 0.199
As: 0.715 0.715 0.801
N: 0.500 0.500 0.000



No. 2
The following is a simulated powder XRD pattern of V2Ga3Co3. It was derived from the PBE geometry in Alexandria, using a wavelength of 1.5418 Å.
Intensities are scaled so that the largest is 100.

Largest 6 diffraction maxima, by intensity, 5 to 70 degrees two-theta:
- 43.7 deg, 2.070 Å, I 100
- 43.9 deg, 2.064 Å, I 25
- 45.5 deg, 1.992 Å, I 22
- 65.1 deg, 1.433 Å, I 14
- 62.0 deg, 1.496 Å, I 8
- 10.7 deg, 8.255 Å, I 4

abc: 8.623 8.623 8.623
angles: 160.02 153.29 33.58
Sites, in units of the cell vectors:
V: 0.245 0.245 0.000
V: 0.755 0.755 0.000
Ga: 0.000 0.000 0.000
Ga: 0.376 0.876 0.500
Ga: 0.624 0.124 0.500
Co: 0.123 0.623 0.500
Co: 0.500 0.500 0.000
Co: 0.877 0.377 0.500


Entry 1:
Starting from the GGA-PBE geometry in Alexandria, the powder diffractogram of LaNdYEr was simulated for Cu Kα (λ = 1.5418 Å).
Lines closer than 0.1° are merged.

Largest 10 diffraction maxima, in order of falling intensity, 10 to 80 degrees two-theta:
32.2°, I 100
30.3°, I 31
29.4°, I 29
59.8°, I 27
50.2°, I 23
55.1°, I 21
60.9°, I 16
36.6°, I 16
28.3°, I 15
42.0°, I 11

Crystal structure
Lattice parameters (Å, degrees): 3.6354 3.6354 11.7933 90.00 90.00 120.00
Space group P3m1 (No. 156)
Asymmetric unit:
La (0.0000, 0.0000, 0.0000) [1 per cell]
Nd (0.6667, 0.3333, 0.7379) [1 per cell]
Y (0.3333, 0.6667, 0.4910) [1 per cell]
Er (0.6667, 0.3333, 0.2522) [1 per cell]

=====

Entry 2:
Starting from the GGA-PBE geometry in Alexandria, the powder diffractogram of YNpCu2O8 was simulated for Cu Kα (λ = 1.5418 Å).
Lines closer than 0.1° are merged.

Largest 10 diffraction maxima, in order of falling intensity, 10 to 80 degrees two-theta:
26.2°, I 100
32.3°, I 100
50.3°, I 81
18.5°, I 76
61.0°, I 33
37.5°, I 29
42.1°, I 29
54.0°, I 22
64.3°, I 21
76.9°, I 17

Crystal structure
Lattice parameters (Å, degrees): 6.7913 6.7913 6.7944 90.00 90.00 90.00
Space group I-4m2 (No. 119)
Asymmetric unit:
Y (0.0000, 0.0000, 0.0000) [2 per cell]
Np (0.0000, 0.5000, 0.2500) [2 per cell]
Cu (0.0000, 0.0000, 0.5000) [2 per cell]
Cu (0.0000, 0.5000, 0.7500) [2 per cell]
>>>
Work order
Find the line further above that holds "intense, 2θ", then restate that line and all lines after it there.
Here it is
Peak list (10 most intense, 2θ = 10–80°, by angle)
2θ/deg	I/Imax	(hkl)
16.89	25.6	1 1 0
19.53	17.7	1 0 1
27.76	100.0	2 0 0
32.67	18.3	0 3 1
39.66	35.5	2 0 2
43.39	9.6	2 3 1
49.10	42.6	3 2 1
57.34	22.8	4 0 0
64.88	19.1	4 0 2
78.79	22.3	5 2 1

Atomic structure:
```
Rb2PuZnF6
1.0
6.428 0.000 0.000
0.000 9.087 0.000
0.000 0.000 6.428
Rb Pu Zn F
4 2 2 12
Cartesian
1.607 0.002 1.604
1.607 4.542 1.604
4.821 9.085 4.825
4.821 4.545 4.825
1.607 2.272 4.819
4.821 6.815 1.609
1.607 6.815 4.822
4.821 2.272 1.607
0.060 6.815 3.273
0.059 6.815 6.371
1.607 4.627 4.823
1.607 9.003 4.823
3.154 6.815 3.273
3.156 6.815 6.371
3.273 2.272 0.057
3.274 2.272 3.156
4.821 0.084 1.605
4.821 4.460 1.605
6.370 2.272 0.057
6.369 2.272 3.156
```


No. 1
The following is a simulated powder XRD pattern of Rb2Fe2As2N. It was derived from the PBE geometry in Alexandria, using a wavelength of 1.5418 Å.
Intensities are scaled so that the largest is 100.

Largest 6 diffraction maxima, by intensity, 5 to 70 degrees two-theta:
- 29.6 deg, 3.022 Å, I 100
- 32.5 deg, 2.755 Å, I 38
- 33.0 deg, 2.716 Å, I 37
- 45.9 deg, 1.979 Å, I 33
- 36.3 deg, 2.478 Å, I 33
- 35.0 deg, 2.565 Å, I 30

abc: 5.877 5.877 8.265
angles: 118.58 118.58 39.37
Sites, in units of the cell vectors:
Rb: 0.066 0.066 0.339
Rb: 0.934 0.934 0.661
Fe: 0.331 0.331 0.954
Fe: 0.669 0.669 0.046
As: 0.285 0.285 0.199
As: 0.715 0.715 0.801
N: 0.500 0.500 0.000



No. 2
The following is a simulated powder XRD pattern of V2Ga3Co3. It was derived from the PBE geometry in Alexandria, using a wavelength of 1.5418 Å.
Intensities are scaled so that the largest is 100.

Largest 6 diffraction maxima, by intensity, 5 to 70 degrees two-theta:
- 43.7 deg, 2.070 Å, I 100
- 43.9 deg, 2.064 Å, I 25
- 45.5 deg, 1.992 Å, I 22
- 65.1 deg, 1.433 Å, I 14
- 62.0 deg, 1.496 Å, I 8
- 10.7 deg, 8.255 Å, I 4

abc: 8.623 8.623 8.623
angles: 160.02 153.29 33.58
Sites, in units of the cell vectors:
V: 0.245 0.245 0.000
V: 0.755 0.755 0.000
Ga: 0.000 0.000 0.000
Ga: 0.376 0.876 0.500
Ga: 0.624 0.124 0.500
Co: 0.123 0.623 0.500
Co: 0.500 0.500 0.000
Co: 0.877 0.377 0.500


Entry 1:
Starting from the GGA-PBE geometry in Alexandria, the powder diffractogram of LaNdYEr was simulated for Cu Kα (λ = 1.5418 Å).
Lines closer than 0.1° are merged.

Largest 10 diffraction maxima, in order of falling intensity, 10 to 80 degrees two-theta:
32.2°, I 100
30.3°, I 31
29.4°, I 29
59.8°, I 27
50.2°, I 23
55.1°, I 21
60.9°, I 16
36.6°, I 16
28.3°, I 15
42.0°, I 11

Crystal structure
Lattice parameters (Å, degrees): 3.6354 3.6354 11.7933 90.00 90.00 120.00
Space group P3m1 (No. 156)
Asymmetric unit:
La (0.0000, 0.0000, 0.0000) [1 per cell]
Nd (0.6667, 0.3333, 0.7379) [1 per cell]
Y (0.3333, 0.6667, 0.4910) [1 per cell]
Er (0.6667, 0.3333, 0.2522) [1 per cell]

=====

Entry 2:
Starting from the GGA-PBE geometry in Alexandria, the powder diffractogram of YNpCu2O8 was simulated for Cu Kα (λ = 1.5418 Å).
Lines closer than 0.1° are merged.

Largest 10 diffraction maxima, in order of falling intensity, 10 to 80 degrees two-theta:
26.2°, I 100
32.3°, I 100
50.3°, I 81
18.5°, I 76
61.0°, I 33
37.5°, I 29
42.1°, I 29
54.0°, I 22
64.3°, I 21
76.9°, I 17

Crystal structure
Lattice parameters (Å, degrees): 6.7913 6.7913 6.7944 90.00 90.00 90.00
Space group I-4m2 (No. 119)
Asymmetric unit:
Y (0.0000, 0.0000, 0.0000) [2 per cell]
Np (0.0000, 0.5000, 0.2500) [2 per cell]
Cu (0.0000, 0.0000, 0.5000) [2 per cell]
Cu (0.0000, 0.5000, 0.7500) [2 per cell]